“And this is the victory that overcomes the world, even our faith.” 1 John 5:4
/*
1.
Here is C14H18N2S in the gas phase from OMol25. Energies are from wB97M-V/def2-TZVPD.

XYZ file:
```
35
C14H18N2S, DFT wB97M-V/def2-TZVPD
C 1.8832 3.2103 -2.9868
C 1.3168 2.1585 -2.0706
C -0.0013 2.1888 -1.7230
C -0.7201 1.2135 -0.7997
C -1.8421 2.0350 -0.0778
C -1.4119 0.1390 -1.6297
N 0.2242 0.5999 0.1801
C -0.1729 0.4887 1.6156
C 1.4043 -0.0325 -0.2927
N 1.8845 -1.1743 0.1576
C 1.0866 -2.0320 0.8850
C -0.1904 -2.4454 0.4387
C -1.0093 -3.2750 1.2414
C -0.5809 -3.6283 2.5234
C 0.6934 -3.2648 2.9412
C 1.5215 -2.4909 2.1452
S 2.3864 0.9008 -1.4231
H 1.1399 3.7204 -3.5626
H 2.6548 2.7730 -3.6896
H 2.3998 3.9425 -2.3679
H -0.5819 2.9406 -2.1892
H -2.3410 2.6912 -0.7841
H -2.5922 1.3921 0.3809
H -1.3522 2.6785 0.6636
H -2.1343 0.5965 -2.3007
H -0.7311 -0.3948 -2.2344
H -1.9625 -0.5307 -0.9530
H -1.0283 -0.1566 1.7634
H 0.6553 0.1101 2.2316
H -0.3793 1.4762 2.0526
H -0.5677 -2.1864 -0.5500
H -1.9916 -3.5473 0.8934
H -1.2293 -4.2504 3.1504
H 1.0327 -3.6376 3.8845
H 2.5367 -2.2088 2.4865
```

Values from the calculation:
Kohn-Sham gap in eV: 8.65
Structure (SMILES): CC1=CC(C)(C)N(C)/C(=N\c2ccccc2)S1

***

2.
Here is a molecular structure, C14H18O12Rb from OMol25. Energies are from wB97M-V/def2-TZVPD.

XYZ file:
```
45
C14H18O12Rb, DFT wB97M-V/def2-TZVPD
Rb 0.9838 1.0002 1.8406
O -0.2941 3.4241 0.6980
C -1.6748 3.7921 0.4605
C -2.0608 4.3292 -0.9562
O -1.0351 4.8100 -1.8045
H -1.8876 4.5622 1.2020
H -2.2279 2.9038 0.7658
H -2.8666 5.0557 -0.8514
H -2.6978 3.7704 -1.6418
C 2.1046 -3.7610 0.8345
C 2.2200 -2.3917 1.4139
C 3.7193 -1.7616 1.5399
O 3.8580 -0.6069 2.0544
C 4.7938 -2.5257 1.0110
C 4.6025 -3.8228 0.5178
C 3.2203 -4.4317 0.4988
O 2.9115 -5.6046 -0.0184
O 5.6801 -4.4634 0.1703
O 1.2446 -1.8441 1.8219
H 1.0912 -4.1342 0.8211
H 5.8025 -2.1744 1.1711
C -1.4907 -2.3944 0.3652
O -2.7904 -1.7581 0.6501
C -2.7013 -0.5350 1.2400
O -1.6803 -0.1255 1.7314
O -4.0389 -0.0659 1.3225
C -4.2945 1.0745 2.0839
H -1.7919 -3.3442 -0.0767
H -0.9606 -2.3533 1.3167
H -0.8261 -1.8200 -0.2802
H -4.1578 1.9417 1.4378
H -3.8332 1.1497 3.0686
H -5.3416 1.0793 2.3864
C 2.6662 0.1611 -1.3509
O 1.3328 -0.0166 -1.7606
C 0.4775 1.0235 -2.1088
O 0.7199 2.2173 -1.9796
O -0.7066 0.5239 -2.6118
C -1.6085 1.4491 -3.2115
H 2.7639 0.5905 -0.3538
H 3.1728 0.8725 -2.0030
H 3.1207 -0.8282 -1.4051
H -2.5464 1.4716 -2.6565
H -1.7095 1.0820 -4.2328
H -1.2632 2.4789 -3.1201
```

Values from the calculation:
Charge: -3
Kohn-Sham gap in eV: 2.59

***

3.
Here is a molecular structure, C14H19Al2ClCsLiNNaO11S from OMol25. Energies are from wB97M-V/def2-TZVPD.

XYZ file:
```
52
C14H19Al2ClCsLiNNaO11S, DFT wB97M-V/def2-TZVPD
C 0.4822 -1.0819 -4.9969
C 0.0622 0.3621 -5.1017
C -0.8122 1.1707 -3.9654
Al 0.3917 1.8564 -2.4096
Cl 2.5615 1.5232 -3.0417
C 0.0182 3.8528 -2.0134
N -1.5156 3.9753 -1.9200
C 0.0378 0.6181 -0.7946
O -0.1934 1.3218 0.4757
C 0.9601 2.1327 0.8907
C 2.5180 1.9476 0.4175
O 0.7074 3.1102 1.8013
H -0.2318 -1.9138 -4.5301
H 1.5111 -1.4329 -5.4359
H 0.3933 0.9121 -6.1074
*/
Dear Ones;
Quantum chemistry results, kept here for reference.
- - -
## A
DFT (ωB97M-V/def2-TZVPD) results for C5H6N2OS in the gas phase.

Geometry (Å):
C  0.96521  0.28495  2.19508
C  0.47818  0.25561  0.74743
C  -0.20876  -0.91777  0.27970
C  -0.64633  -0.84653  -1.01312
O  -1.21071  -1.74869  -1.81782
N  -0.46628  0.32371  -1.68810
C  0.14946  1.49415  -1.20206
S  -0.15818  2.91141  -2.05627
N  0.73564  1.38156  0.09676
H  2.05684  0.48409  2.33058
H  0.28686  1.05589  2.75883
H  0.71287  -0.74538  2.50008
H  -0.34415  -1.77472  0.86303
H  -1.44970  -2.55068  -1.33103
H  -0.90095  0.39241  -2.66309

Its net charge is 0. Its LUMO energy is 0.1 eV. The value obtained for the HOMO-LUMO gap is 8.3 eV. The structure (SMILES) is Cc1cc(O)[nH]c(=S)n1. As for the HOMO energy: -8.16 eV.


## B
DFT (ωB97M-V/def2-TZVPD) results for C5H6N2OS in the gas phase.

Geometry (Å):
C  -0.04363  2.16389  -1.75156
S  1.33384  1.01132  -1.47463
N  0.67629  0.09583  -0.22786
C  0.02026  -1.38354  -0.39609
C  -0.40146  -1.73478  0.86222
O  -1.06451  -2.86831  1.18592
C  0.13103  -0.81274  1.79673
C  0.70554  0.21472  1.09093
N  0.00590  0.63199  2.26059
H  0.29384  2.86591  -2.50837
H  -0.27580  2.68063  -0.82646
H  -0.90442  1.60790  -2.10942
H  0.00398  -1.81605  -1.37084
H  -1.11547  -3.44815  0.41735
H  0.63462  0.79138  3.05149

Its net charge is 0. Its LUMO energy is 0.5 eV. The value obtained for the HOMO-LUMO gap is 8.5 eV. The structure (SMILES) is CSn1cc(O)c2c1N2. As for the HOMO energy: -7.92 eV.


Stability verdict: A, ahead by 0.2099 hartree


## A
DFT (ωB97M-V/def2-TZVPD) results for 4 unconnected molecules or ions with the total composition CH10N2O3.

Geometry (Å):
H  -0.38542  -2.06213  -2.40614
N  -0.21678  -1.98217  -1.41408
C  0.99585  -1.74894  -1.08604
N  1.39277  -1.25420  0.10020
H  1.76431  -1.80188  -1.86460
H  2.30672  -1.49707  0.44188
H  0.70103  -1.00360  0.78220
O  -1.22230  2.17386  1.57111
H  -1.50842  1.33299  1.18653
H  -1.63628  2.24850  2.43348
O  -1.94899  -0.25782  -0.12386
H  -1.47038  -0.98861  -0.60063
H  -2.83883  -0.41273  -0.48384
O  1.53527  2.21649  0.45286
H  1.05473  2.39455  -0.36045
H  0.80862  2.09546  1.08335

Its net charge is 0. Its LUMO energy is 0.8 eV. The value obtained for the HOMO-LUMO gap is 10.6 eV. The structure (SMILES) is [H]/N=C/N.O.O.O. As for the HOMO energy: -9.76 eV.


## B
DFT (ωB97M-V/def2-TZVPD) results for 4 unconnected molecules or ions with the total composition CH10N2O3.

Geometry (Å):
H  0.72778  1.89402  2.21494
N  0.12624  1.24516  1.73311
C  -1.13017  1.30039  1.73948
N  -1.89609  0.44269  1.01728
H  -1.72697  2.08633  2.21550
H  -2.81703  0.22381  1.34258
H  -1.43277  -0.20371  0.40004
O  1.36900  -1.55042  -2.19696
H  2.10971  -1.33756  -2.76711
H  1.50422  -1.08650  -1.34894
O  2.15032  -0.60417  0.40081
H  1.28497  -0.29270  0.71578
H  2.77446  -0.17071  0.99349
O  -1.39703  -0.71653  -2.25136
H  -0.68907  -1.36915  -2.12893
H  -0.95756  0.13906  -2.07971
- - -
So much for the quantum chemistry results.
The elderly Apostle John, who had in essence, “climbed the steep ascent of heaven, through peril, toil, and pain,” commands our attention in one of his last letters, with the fact that faith is KEY to knowing the victory that is in Christ. It is one thing to talk about victory, even to preach it. It is quite another thing to LIVE it, know the veracity of it, and experience its power. But, is our faith “true faith?” Is it of a quality and nature that God will respond and meet us in the area of our need, and in our circumstances?
Jesus once used the illustration of two houses built upon two foundations, one upon a rock and the other on sand. The “faith” of the world, built upon the sand, is that confidence and reliance upon the speculations, philosophies, and imaginations of men. It can also be based upon the facts of creation, without any consideration of the Creator. But TRUE faith is that which is “born of God,” comes from God, and is inseparably one with the nature and disposition of God. It is founded solely, and thus, wholly, upon the holy nature of God, and the expression of that nature in the word of God. Why? Because there is NO discord, disassociation, or divergence in essence between the nature of God and His Word. He IS what He says, and will always act accordingly. True faith is based upon the Rock, the Lord Jesus, and every word that proceeds out of the mouth of God. Paul put it like this: “…for they (our fathers) drank of that spiritual Rock that followed them: and that Rock was Christ.” (1 Cor. 10:4) So, what does the knowledge of true faith have to do with the “victory that overcomes the world?”
True Christianity is not a religion of men, nor of the imaginations of men. It is a declared and proclaimed relationship between God and men, where God intervenes in the individual life, first of all to give LIFE. From the point of the new birth onward, the great issue becomes that of receiving this eternal, victorious life of Christ by faith. This life is lived by dependence upon the revelation and power of the Spirit, whereby the believer and disciple, appropriates this most blessed Life from heaven, that of the Lord Jesus. It is a matter of partaking of the living bread and water, of abiding in Christ, of receiving BY FAITH that which has been given, and promised. In the measure that Christ’s life is appropriated, HIS victory over sin, the world, and Satan, will be realized, seen, and known in our lives. Christ shall be formed in us, in an ever-increasing manner. His victory, which shall be our own, will then be revealed in this world in and through us, for His glory and honor.
Dear Father, give us Your vision of how this life of faith is to be lived. Strengthen us this day to “open our mouths wide,” receiving from Thee by the Spirit, all in Christ that is needful, to live this life…overcoming the world. Grant us grace today to take our stand upon the Rock, live by Him, and for Him. Then, You shall be truly honored, and we shall be victors indeed. We thank and praise Thee for so great a salvation. In Jesus’ name, Amen.
Love, Dad